+++
DFT (PBE) results for CsMo3I7 after structural relaxation.

abc: 11.0686 11.0686 16.9747
angles: 90.00 90.00 120.00
Sites, in units of the cell vectors:
Cs 0.0000 0.0000 0.0000
Cs 0.0000 0.0000 0.5000
Cs 0.3333 0.6667 0.2500
Cs 0.6667 0.3333 0.7500
Mo 0.1913 0.5260 0.6854
Mo 0.1913 0.6654 0.8146
Mo 0.3346 0.5260 0.8146
Mo 0.3346 0.8087 0.6854
Mo 0.4740 0.6654 0.6854
Mo 0.4740 0.8087 0.8146
Mo 0.5260 0.1913 0.1854
Mo 0.5260 0.3346 0.3146
Mo 0.6654 0.1913 0.3146
Mo 0.6654 0.4740 0.1854
Mo 0.8087 0.3346 0.1854
Mo 0.8087 0.4740 0.3146
I 0.0305 0.3449 0.0907
I 0.0305 0.6856 0.4093
I 0.0433 0.3721 0.8192
I 0.0433 0.6712 0.6808
I 0.3144 0.3449 0.4093
I 0.3144 0.9695 0.0907
I 0.3288 0.3721 0.6808
I 0.3288 0.9567 0.8192
I 0.3333 0.6667 0.5488
I 0.3333 0.6667 0.9512
I 0.3449 0.0305 0.5907
I 0.3449 0.3144 0.9093
I 0.3721 0.0433 0.3192
I 0.3721 0.3288 0.1808
I 0.6279 0.6712 0.8192
I 0.6279 0.9567 0.6808
I 0.6551 0.6856 0.0907
I 0.6551 0.9695 0.4093
I 0.6667 0.3333 0.0488
I 0.6667 0.3333 0.4512
I 0.6712 0.0433 0.1808
I 0.6712 0.6279 0.3192
I 0.6856 0.0305 0.9093
I 0.6856 0.6551 0.5907
I 0.9567 0.3288 0.3192
I 0.9567 0.6279 0.1808
I 0.9695 0.3144 0.5907
I 0.9695 0.6551 0.9093

Calculated values
ΔE_f ... -841 meV/atom
MP2020-corrected energy ... -4.850 eV per atom
M_tot ... 0.01 μB/f.u.
+++
It remains to set down everything earlier on exactly.
DFT (PBE) results for CsMo3I7 after structural relaxation.

abc: 11.0686 11.0686 16.9747
angles: 90.00 90.00 120.00
Sites, in units of the cell vectors:
Cs 0.0000 0.0000 0.0000
Cs 0.0000 0.0000 0.5000
Cs 0.3333 0.6667 0.2500
Cs 0.6667 0.3333 0.7500
Mo 0.1913 0.5260 0.6854
Mo 0.1913 0.6654 0.8146
Mo 0.3346 0.5260 0.8146
Mo 0.3346 0.8087 0.6854
Mo 0.4740 0.6654 0.6854
Mo 0.4740 0.8087 0.8146
Mo 0.5260 0.1913 0.1854
Mo 0.5260 0.3346 0.3146
Mo 0.6654 0.1913 0.3146
Mo 0.6654 0.4740 0.1854
Mo 0.8087 0.3346 0.1854
Mo 0.8087 0.4740 0.3146
I 0.0305 0.3449 0.0907
I 0.0305 0.6856 0.4093
I 0.0433 0.3721 0.8192
I 0.0433 0.6712 0.6808
I 0.3144 0.3449 0.4093
I 0.3144 0.9695 0.0907
I 0.3288 0.3721 0.6808
I 0.3288 0.9567 0.8192
I 0.3333 0.6667 0.5488
I 0.3333 0.6667 0.9512
I 0.3449 0.0305 0.5907
I 0.3449 0.3144 0.9093
I 0.3721 0.0433 0.3192
I 0.3721 0.3288 0.1808
I 0.6279 0.6712 0.8192
I 0.6279 0.9567 0.6808
I 0.6551 0.6856 0.0907
I 0.6551 0.9695 0.4093
I 0.6667 0.3333 0.0488
I 0.6667 0.3333 0.4512
I 0.6712 0.0433 0.1808
I 0.6712 0.6279 0.3192
I 0.6856 0.0305 0.9093
I 0.6856 0.6551 0.5907
I 0.9567 0.3288 0.3192
I 0.9567 0.6279 0.1808
I 0.9695 0.3144 0.5907
I 0.9695 0.6551 0.9093

Calculated values
ΔE_f ... -841 meV/atom
MP2020-corrected energy ... -4.850 eV per atom
M_tot ... 0.01 μB/f.u.